Monday, October 17, 2011

[Records of crystals, kept here for reference]
-- begin --
Calculated X-ray powder pattern of Cs2Tm4Cu4Se9 for Cu Kα (weighted mean of Kα1 and Kα2), from a structure optimized by DFT (PBE).
Neutral-atom scattering factors, no anomalous dispersion.

Peak list (10 most intense, 2θ = 10–90°, in order of rising 2θ)
- hkl 2 0 0, 2θ = 12.8°, I 71
- hkl 0 0 5, 2θ = 28.4°, I 100
- hkl 3 1 -2, 2θ = 28.9°, I 99
- hkl 3 1 0, 2θ = 29.1°, I 63
- hkl 3 1 -3, 2θ = 30.4°, I 45
- hkl 3 1 1, 2θ = 30.8°, I 89
- hkl 0 0 6, 2θ = 34.2°, I 45
- hkl 5 1 -2, 2θ = 37.7°, I 42
- hkl 0 2 0, 2θ = 44.0°, I 86
- hkl 3 1 -7, 2θ = 44.6°, I 53

```
data_Cs2Tm4Cu4Se9
_cell_length_a 14.6332
_cell_length_b 4.1121
_cell_length_c 16.6086
_cell_angle_alpha 90.00
_cell_angle_beta 108.68
_cell_angle_gamma 90.00
_space_group_name_H-M_alt 'C 1 2/m 1'
_space_group_IT_number 12
_space_group_name_Hall '-C 2y'
loop_
_atom_site_label
_atom_site_type_symbol
_atom_site_fract_x
_atom_site_fract_y
_atom_site_fract_z
Cs1 Cs 0.0314 0.0000 0.2722
Tm1 Tm 0.1532 0.5000 0.5555
Tm2 Tm 0.2302 0.0000 0.1022
Cu1 Cu 0.0717 0.5000 0.9656
Cu2 Cu 0.2495 0.0000 0.7317
Se1 Se 0.0000 0.0000 0.5000
Se2 Se 0.1074 0.5000 0.1240
Se3 Se 0.1424 0.0000 0.9251
Se4 Se 0.1584 0.5000 0.7248
Se5 Se 0.2092 0.5000 0.4036
```

=====

Starting from a PBE-relaxed structure, the X-ray diffraction stick pattern of Y5Ho2Tm12 was computed for Cu Kα, 1.54184 Å.
Neutral-atom scattering factors, no anomalous dispersion.

Main lines, most intense first (15° ≤ 2θ ≤ 90°):
2θ/deg	d (Å)	I_rel
31.64	2.828	100
32.06	2.792	64
33.73	2.658	63
32.73	2.736	56
31.31	2.857	50
34.13	2.627	44
36.28	2.476	28
32.89	2.723	24
28.74	3.106	23
27.56	3.236	23

Atomic structure:
```
19
Lattice="5.954 0.000 0.000 0.195 9.618 0.000 1.415 3.765 10.365" Properties=species:S:1:pos:R:3 pbc="T T T"
Y 0.000 0.000 0.000
Y 1.280 10.546 3.560
Y 3.305 4.992 1.747
Y 4.258 8.391 8.618
Y 6.284 2.837 6.805
Ho 2.391 7.041 4.350
Ho 5.173 6.343 6.015
Tm 1.301 9.064 6.803
Tm 0.540 3.192 0.435
Tm 2.065 5.788 7.543
Tm 3.585 11.676 8.162
Tm 2.848 8.270 1.084
Tm 3.280 3.577 5.046
Tm 4.284 9.807 5.320
Tm 4.715 5.113 9.281
Tm 3.979 1.708 2.203
Tm 5.499 7.596 2.822
Tm 7.024 10.191 9.930
Tm 6.263 4.319 3.562
```

=====

Starting from a PBE-relaxed structure, the X-ray diffraction stick pattern of CrRe5 was computed for Cu Kα, 1.54184 Å.
Neutral-atom scattering factors, no anomalous dispersion.

Main lines, most intense first (15° ≤ 2θ ≤ 90°):
2θ/deg	d (Å)	I_rel
41.95	2.154	100
41.13	2.195	28
40.30	2.238	23
75.51	1.259	18
58.94	1.567	15
39.33	2.291	14
74.39	1.275	10
77.74	1.228	9
62.67	1.482	8
78.69	1.216	7

Atomic structure:
```
6
Lattice="2.195 -6.714 0.000 2.195 6.714 0.000 0.000 0.000 2.965" Properties=species:S:1:pos:R:3 pbc="T T T"
Cr 0.000 0.000 0.000
Re 2.195 4.728 1.482
Re 2.195 2.408 0.000
Re 2.195 0.000 1.482
Re 2.195 -2.408 0.000
Re 2.195 -4.728 1.482
```

=====

Starting from a PBE-relaxed structure, the X-ray diffraction stick pattern of TcBr6 was computed for Cu Kα, 1.54184 Å.
Neutral-atom scattering factors, no anomalous dispersion.
-- stop --

October - Fall 2011

Wisdom of the Sages

Episode X

October – Autumn 2011

Hello People of the World;

It is now the fall season and Oh’s No (!) it’s getting chilly! Who’d of thought, it would get colder as we get closer to winter? Not me! I’m used to the exact weather that makes me comfortable. I really need to get over myself! You’re welcome.

Well, I guess Nature cut you a break and heated things up for a little bit just to give you something to complain about, I suppose. So. Here we are at the tenth month, closer to the end of 2011. Time flies when you’re having fun right? I have no idea where this year went.

Let’s get started, shall we?

1:[ First item of the month: So, here we are, living in a time when people are being executed with so much doubt, where the economy continues to tank with the rich staying healthy and the sick staying poor, and where we are still very divided as a “One Nation Under God” and yet, here we are all are, crying about Facebook changes?


2:[ Introducing, another semi-regular item:

Movie Time Adventures

So, the other day I decided I wanted to see “Detective Dee and the Mystery of the Phantom Flame”, the latest Tsui Hark movie at the theater in Evanston (The only other theater playing it.) found it to be a rather enjoyable, romp of a film; big, bombastic kung-fu mystery with Andy Lau playing a disgraced inspector called from prison to determine why people are suddenly bursting into flames before the Empress can be crowned Emperor of China. It involves talking deer, an albino, a seedy dark underground, and a fight with a herd of stags. Yep. It is an awesomely weird flick.

+ Anyways, standing outside the theater, as I had arrived early to get a good seat, I find a group of citizen outside waiting. It turns out the doors were locked and it was getting close to show time. I remember one guy, those talker types, kept pulling on the doors as if they would suddenly be unlocked. So, we are all waiting there for maybe 15 minutes. Well, 15 minutes from when I got there, it looks like some were waiting longer. It struck me to ask if anyone had tried calling the theater to see if they could open up. But as I inhaled to speak, Talker bangs on the doors and soon someone comes down to open the door. As we enter, I crack wise about tickets remaining the same price. So, after I get in line and purchase my ticket the ticket seller suddenly asks, “Are you really a Native American?”

“Yeah,” it is hard for me to not, at least, get a touch mad, but as always, I get over it really quick because it is simply unfair. “What are you, tribe, I mean.”

“Northern Arapaho, from Wyoming,” to which she says, “That’s really cool. I asked because you don’t see any of you around any more.”

To which “I do” almost slipped out of my mouth. But hey, she was absolutely right from her perspective. Instead, I say “Yeah, that’s true.”

She smiles and says it again “It’s pretty cool meeting a Native. We don’t see much of you around now.”

I just give her a wave and go to the theater.

SPOLIER ALERT: Review of “Warrior”: Basically “Two Rockys”. Two down-on-their-luck underdogs have a single chance to win the big fight. Both are brothers, which is the twist of the story. The movie stars Tom Hardy (Inception, Bronson) as Tommy, an ex-Marine Corp Gulf War veteran that is homeless and Joel Edgerton (Star Wars Episode II: Attack of the Clones and The Thing 2011) as Brendan, a suburban high school teacher who is suspended for fighting to raise money for his house payments. Nick Nolte also stars as the brother’s father, an ex-alcoholic that was estranged from them both.

Both end up in the final match of a UCF-style fighting tournament vying to win the big cash prize for their own purposes: Tommy’s is to help a dead friend’s family after promising to do so, his friend being the only family he’s had. His friend was a Hispanic man. It seems Tommy saved a bunch of fellow Marines and now he is here to take the prize home to help the widow of his friend.

Brendan needs to make a house payment. Yep. That’s it. That's his reason.

While I found much to like about this tale, the overall message did not sit well with me. Only those who are living the “American Dream” deserve to get the prize over those who have never had it to begin with.

What I also hated was how suddenly the strongest fighter in the entire tournament was suddenly weak just so the hero could win. They built him up to be this invincible fighter and when he comes up against our suburban hero, suddenly he is defeatable. Don’t come at me with some sort of “That’s the way it goes in the UFC, it’s anybody’s game” nonsense. This was a story and it smacked of weak storytelling. The guy was knocking everyone out and walking out the ring, but when he comes up against Suburban Teacher, the message was very clear: Only those who are living the “American Dream” deserve to get the prize over those who have never had it to begin with. That’s what bugged me. Good story but not good on following through with the character they built.

Review of “Drive”: Neat little film. I do wish I liked it more than I did. Ebert compared this to “Le Samourai” though the comparisons seemed superficial. It had a 70’s car flick vibe mixed with an 80’s sensibility. It tells the tale of a man so good at stunt driving, that he hires himself out as a driver for what ever you need driving for. Think, a much slower moving “Transporter”. Here, he hooks up with a beautiful waif and her cute son and suddenly all hell breaks loose. (I mean, why would hell break loose for an ugly chick and her obnoxious kid?) Still, it is a neat, slow-paced tale. I just wish Brian Cranston would quit playing Malcolm’s dad. Otherwise, I recommend.

3:[ I finished reading Christopher Welles Feder’s autobiography. It was a sweet reflection on living in the shadow of someone who was not considered a genius until after he passed away. To view him through the eyes of his very awestruck daughter and how she had to come to terms with how very human her great figure of a man was. It inspired me with what Welles went through in his filmmaking career. He was a man much like myself and that is also inspiring, both in beliefs and viewing the nature of art. There also the possibility that they will only love me after I’m dead….

4:[ Time is beginning to show itself to me. It appears that both REM and The BoDeans, two of my favorite all-time bands have decided to break up. REM felt that it was time to quit, while a key member of The BoDeans quit on his own. REM, after completing a 31-year retrospective decided that now was a good time to simply call it quits. Their music fed my brain during my high school and college years. “Losing My Religion”, “Drive”, “What’s the Frequency, Kenneth?”, “Stand” and more gave me great comfort that I had a rather unique taste in music as well as finding another band, not U2 that spoke to me as me.

While The BoDeans are still around technically, they are not “The BoDeans” without Sammie. His vocals and songwriting were key to the sound of the band. Remove him and they are not The BoDeans, but are “The BoDeans”. Their strange combo of voices between Kurt and Sam fueled many singalongs while I drove all over the place. Their lyrics and harmonies are something I never heard before or will again. I was introduced to them via my brother Ken. It is amazing how much influence all my big brothers have had.

So, all of this has shown me that I am simply getting old and the old touchstones of my youth are slipping past….

5:[ Ah yes, settle in Readers for more of:

Adventures at the Coffee Shop!

+ You learn something new every day; as I found out today when instead of a coffee I grabbed a bottle of green tea and a bottle of water and the barista asks why I’m changing it up. I reply that I’m re-hydrating. He tells me that tea would dehydrate me more. Less so than coffee I reply. “No,” he says, “tea is….”

He then turns to an off-duty barista and a regular, both of whom just happen to be sitting next to each other and puts the question to them, “Which is more of a diuretic, coffee or tea?”

Both agree: it’s tea. I nodded my head at this new fact because hey, tea is more of a diuretic than coffee. See? I’ve learned something new, even how to spell “diuretic”.

So, I paid for my tea and bottle of water….

+ There are very few baristas that appear to enjoy their work. Many talk like they have better things to do than be here serving the masses their coffee drinks. There is one fella I see that really does the sh*t out of his job. He just does it well. He gets my order, gets my drink and takes my payment all the while concentrating on what he does. Everyone else tends to talk to one another while the customers wait in line and for their order. Not this guy.

It always reminds me of what Louis CK said, to paraphrase, if you have a sh*t job, why do a sh*tty job, wouldn’t that make it worse for you? Many act like they have better things to do, like shows and projects and the like, when, to paraphrase LCK again, you’re wearing an apron the same color as the building! Come on!

6:[ It’s kind of funny to hear your own beliefs spoken back to you and they sound silly and self-righteous. I walk into the comic books store in Evanston and here the two workers in there talking about the abject failure of the whole Occupy Wall Street movement. How they feel that it just made up of a bunch of spoiled kids looking for their entitlements. Sure there is more to it than that. But, in the end there are several different methods for making a protest.

_Calculated crystals, as found in the file_
=====
The following is a theoretical powder X-ray diffraction pattern of K2Si2Pb2O. It was derived from a structure optimized by DFT (PBE), using Cu Kα, 1.54184 Å.
Peak positions follow from Bragg's law for the DFT cell and can differ from measured ones.

Atomic structure:
abc: 5.5738 5.5738 6.6779
angles: 90.00 90.00 120.00
Positions (direct):
K  0.3333  0.6667  0.0000
K  0.6667  0.3333  0.0000
Si  0.0000  0.0000  0.2686
Si  0.0000  0.0000  0.7314
Pb  0.3333  0.6667  0.5000
Pb  0.6667  0.3333  0.5000
O  0.0000  0.0000  0.0000

Main lines, in order of falling intensity (2θ from 5° to 70°):
| Position (°2θ) | I/Imax |
| --- | --- |
| 32.12 | 100 |
| 13.26 | 77 |
| 42.24 | 60 |
| 34.88 | 51 |
| 32.61 | 49 |
| 22.73 | 43 |
| 26.70 | 34 |
| 18.38 | 33 |
| 65.13 | 25 |
| 57.57 | 19 |
| 57.26 | 19 |
| 46.42 | 18 |

***

The following is a theoretical powder X-ray diffraction pattern of K2Sm2PbO6. It was derived from a structure optimized by DFT (PBE), using Cu Kα, 1.54184 Å.
Peak positions follow from Bragg's law for the DFT cell and can differ from measured ones.

Atomic structure:
abc: 6.1029 6.1029 6.6883
angles: 98.02 98.02 120.02
Positions (direct):
K  0.1626  0.8374  0.0000
K  0.8374  0.1626  0.0000
Sm  0.3345  0.6655  0.5000
Sm  0.6655  0.3345  0.5000
Pb  0.0000  0.0000  0.5000
O  0.0479  0.3784  0.6796
O  0.2531  0.2531  0.3203
O  0.3784  0.0479  0.6796
O  0.6216  0.9521  0.3204
O  0.7469  0.7469  0.6797
O  0.9521  0.6216  0.3204

Main lines, in order of falling intensity (2θ from 5° to 70°):
| Position (°2θ) | I/Imax |
| --- | --- |
| 13.79 | 100 |
| 34.59 | 46 |
| 30.86 | 33 |
| 29.58 | 25 |
| 27.78 | 25 |
| 35.24 | 22 |
| 51.91 | 21 |
| 30.52 | 17 |
| 48.46 | 15 |
| 44.02 | 14 |
| 29.78 | 13 |
| 37.85 | 10 |

***

The following is a theoretical powder X-ray diffraction pattern of KTa5Pb2O15. It was derived from a structure optimized by DFT (PBE), using Cu Kα, 1.54184 Å.
Peak positions follow from Bragg's law for the DFT cell and can differ from measured ones.

Atomic structure:
abc: 3.9605 12.8203 12.8337
angles: 90.00 90.00 90.00
Positions (direct):
K  0.0000  0.0812  0.0000
K  0.0000  0.9188  0.5000
Ta  0.5000  0.0324  0.2566
Ta  0.5000  0.1717  0.5463
Ta  0.5000  0.2545  0.8265
Ta  0.5000  0.3164  0.1163
Ta  0.5000  0.4589  0.4150
Ta  0.5000  0.5411  0.9150
Ta  0.5000  0.6836  0.6163
Ta  0.5000  0.7455  0.3265
Ta  0.5000  0.8283  0.0463
Ta  0.5000  0.9676  0.7566
Pb  0.0000  0.2377  0.3365
Pb  0.0000  0.4736  0.7054
Pb  0.0000  0.5264  0.2054
Pb  0.0000  0.7623  0.8365
O  0.0000  0.0481  0.2492
O  0.0000  0.1723  0.5245
O  0.0000  0.2552  0.8245
O  0.0000  0.3330  0.1216
O  0.0000  0.4568  0.3921
O  0.0000  0.5432  0.8921
O  0.0000  0.6670  0.6216
O  0.0000  0.7448  0.3245
O  0.0000  0.8277  0.0245
O  0.0000  0.9519  0.7492
O  0.5000  0.0372  0.6140
O  0.5000  0.0970  0.8278
O  0.5000  0.1114  0.3907
O  0.5000  0.1840  0.1860
O  0.5000  0.2513  0.6698
O  0.5000  0.2508  0.9807
O  0.5000  0.3151  0.4610
O  0.5000  0.3995  0.2527
=====

I have learned some of the more ineffectual ones and some of the more notorious ways for affecting business as a means of protest. Which is why I am never really all about the political idealism that anyone chases after. You can find better ways to fight the status quo but many people like the status quo as long as they are on the well-receiving end of it. Which is why many are hesitant to rock the boat, or when the balance finally shifts them out of favor, suddenly they need to occupy somewhere and protest. To refurbish one Facebook posters comment: "they are looking to get back their piece of the pie, never caring for those who never got one to begin with."

So it was strange to hear my own POV of things echoed back at me, and, yes, it did sound very silly and self-righteous. But then again, it didn’t help to have them spoken by self-entitled comic book workers….

7:[ And now Wisdom of the Sages presents:

An Ever-growing List of Things That MUST Stop!

+ It seems that almost every CTA bus I get on is usually a victim of cars turning across the path of a bus. Even though it is illegal for cars to cross the lane and turn right in front of a bus, people seem to be in such a hurry all the time that they do it anyway. I’ll bet that when a bus does accidentally hit a stupid person’s car the CTA and driver will be held accountable. Geez, people, if you are late, then start leaving home earlier….

+ Speaking of busses, there was this woman and her kid on the bus this morning complaining about the lateness of the CTA. No small part due to the article on bus drivers playing hooky on duty that was in the paper yesterday. So, she doesn’t get loud, but she does not make her discussion with a fellow passenger private either.

She blamed the drivers and it was not at all her fault for not having foresight to leave a bit earlier. Anyways, I get off the bus and she and her kids get off with me. But as I wait for the WALK light as the street light turned red, the lady drags her kids into the oncoming traffic to get to the other side. CRAZY! Cars had to slow for her, hitting the brakes and all. And you know what? She did it just to run into the convenience store on the corner. That disregard for the traffic needs to stop….

+ Still parking in the spot painted for the space beside the handicapped space, even though its for a van with a handicap-accessible side door to park there, just to run in a get a quick bottle of organic juice? Stop that.

+ Zombies: really. I just finished watching Season One of “The Walking Dead” and I’m sorry, I am not impressed. I never got the appeal of zombies. I find them quite boring. The inherent danger of zombies is rendered null and void once, you know, once you really think about them.

I guess it comes down to our desire to really just kill other people, doesn’t it? We measure manhood, falsely, I might add, by our ability to kill things, I think. The larger the thing, the more intelligent, the more “Manly” we are. So, zombies fulfill that desire to harm our fellow by othering them into undead entities.

I find “The Walking Dead” to be like any primetime soap but with Zombies. Everyone sing with me:

Zombies are such a serious thing/

These problems matter!

+ Lately, while getting ready to cross the street at a crosswalk I find myself mutter as some car, that obviously has the Right-of-Way, to go, “F*ckin’ GO, if you’re gonna GO!” I need to stop that….

+ Really people, with the world as we have it now, the primary thing on people’s minds are the costumes for superhero movies? Really? …Really? Getting mad about Catwoman’s ears? Superman’s red undies? Seriously? Man, we need to grow up. And this is coming from someone who bought comics today. Speaking of….

8:[ So, today I bought some comic books for the first time in quite a few years. DC Comics decided, rightly so, to reboot their entire line of comics, dispensing with the monstrous amount of continuity to free writers to write compelling stories without fear of discontinuity. So, after being left behind in the storylines of Batman, I felt it would be a good chance to hop aboard a regular comic again without having to worry about missing something cool for not keeping up with Batman’s history.

So, I grab a Detective Comics #1 and a Catwoman #1 (I know) and go to get them rung up. I still have to grab a Batman #1, though. Wouldn’t you know it the cashier is WAAAAAAAAAY younger than I am…. I felt like an old geeky man….

9:[ From the “This Just In” Department: I’ve been warning you, Dear Readers, of the next big resource battle coming up and here is more information: Mexico’s newest import to US may be water!

10:[ Last Item of the Month: Many have made a huge deal about the passing of Steve Jobs, which is appropriate, he and Apple, Inc. have changed the face of the world with their innovative technology. However, Dennis Ritchie, who developed the Unix system and C-languages for programming, having as much an impact on our world, as the Internet may not have been possible with out these, receives no such fanfare, there are no Internet Meme-orials for the man who literally wrote the language of the Internet…. May they both rest in peace.

That will do it for this month.

Of late, I’ve had to take a long drive to get to work. It has been quite a number of years, at least four, by my calculation that I had feared that I would not remember how to drive in the big city. But after a few trips north I find that I am very vocal when in the car by myself. I shout insults and am just a miserable person in general. Which is funny because I really like driving long distances.

Feel free to comment, critique, contradict or correct my nonsense, wouldn't want to come off and angry and self-victimizing, right? I hope this finds you all well. Sorry about the late posting, I got really sick over the past couple of days. On top of a chill I caught in me noggin, my Char got herself an Xbox 360 and got “Portal 2” which, watching with this head-chill, sent me into a rather nasty bout of extreme dizziness. I had to forget meeting my friend Larry about restarting “Hamlet” and I went home and slept for 13 hours. So. There’s that. Write me, let me know how you are all doing.

Until Next Time, “I try to show the schemers how pathetic their attempts to control everything really are.”

© 2011 Ernest M. Whiteman III

1 comment:

Jeff said...

Good One! Touché on many things! I especially liked the barista bit and the Jobs thing. There are so many people out there doing great things and doing their jobs so well, but they are often never noticed. Since I was a janitor once, I always notice nicely done floors.